**Contents**
____________
{"formula": "C24H35BN7ORb", "method": "ωB97M-V/def2-TZVPD", "species": ["Rb", "C", "C", "C", "C", "C", "C", "N", "N", "B", "N", "C", "C", "C", "N", "C", "C", "C", "N", "C", "C", "C", "N", "C", "C", "C", "H", "H", "H", "H", "H", "H", "H", "H", "H", "H", "H", "H", "H", "H", "H", "H", "H", "H", "H", "H", "H", "H", "H", "H", "H", "H", "H", "H", "O", "C", "C", "C", "C", "C", "C", "N", "H", "H", "H", "H", "H", "H", "H"], "coordinates": [[-0.2750, -0.0334, 0.7860], [-2.1294, -4.0181, -2.6003], [-1.3237, -3.4512, -1.4211], [-1.0755, -4.4531, -0.2690], [0.0277, -2.9131, -1.8533], [0.8060, -3.3603, -2.9618], [1.9559, -2.6079, -2.8394], [1.8429, -1.7611, -1.8113], [0.6665, -1.9695, -1.1878], [2.6681, -0.4829, -1.6944], [1.8415, 0.7203, -2.3024], [2.0381, 1.2261, -3.4901], [1.1007, 2.2004, -3.7273], [0.3453, 2.2872, -2.5271], [0.8173, 1.3836, -1.6674], [-0.8174, 3.1584, -2.1676], [-0.3922, 4.5219, -1.5873], [-1.8374, 2.4985, -1.2918], [3.2296, -0.2368, -0.2545], [4.5256, 0.0372, -0.1083], [4.8290, 0.1021, 1.2488], [3.5954, -0.0260, 1.8565], [2.6096, -0.2681, 0.9495], [3.2613, -0.0452, 3.3047], [3.1704, -1.4771, 3.8255], [2.0232, 0.7529, 3.7152], [-3.0370, -4.5193, -2.2520], [-1.4939, -4.7043, -3.1064], [-2.3566, -3.1485, -3.2017], [-1.8601, -2.5822, -0.9972], [-0.4962, -5.2843, -0.5931], [-1.9755, -4.7364, 0.1966], [-0.4087, -3.9544, 0.4408], [0.6262, -4.1993, -3.6275], [2.8524, -2.5205, -3.5261], [3.6165, -0.6037, -2.4235], [2.7333, 0.7677, -4.1650], [0.9745, 2.6478, -4.6732], [-1.2519, 3.3866, -3.1594], [0.0552, 4.4774, -0.6146], [-1.2385, 5.2432, -1.4194], [0.3203, 4.9930, -2.2994], [-1.5224, 2.5208, -0.2664], [-2.0764, 1.4294, -1.5219], [-2.7676, 3.0168, -1.2836], [5.2508, -0.0412, -0.9082], [5.8077, 0.1763, 1.7441], [4.1456, 0.3817, 3.7750], [2.3100, -1.9437, 3.3113], [2.9096, -1.4554, 4.8714], [4.0636, -2.0556, 3.6419], [1.1497, 0.2178, 3.4051], [1.9344, 1.7683, 3.2428], [1.9420, 0.8777, 4.7581], [-2.9634, -1.4060, 1.2340], [-3.8393, -0.7902, 2.1926], [-3.6874, 0.6964, 2.2677], [-4.4005, 1.5477, 1.5095], [-4.1501, 2.9248, 1.5200], [-3.1481, 3.3798, 2.3621], [-2.5339, 2.4304, 3.1694], [-2.7552, 1.1335, 3.1065], [-3.4187, -1.5580, 0.4011], [-3.5383, -1.2344, 3.1425], [-4.8433, -1.0594, 1.9420], [-5.1576, 1.2242, 0.7956], [-4.7203, 3.6260, 0.8981], [-2.8505, 4.4298, 2.3818], [-1.7038, 2.7148, 3.8046]], "forces_ev_per_angstrom": [[0.1, 0.0, -0.1], [0.2, 0.9, 1.4], [0.5, 0.2, 0.7], [1.0, 1.7, -0.5], [-0.1, -0.7, -1.0], [0.1, -0.1, 0.9], [1.3, 0.1, -1.9], [-0.2, -0.4, 0.0], [-0.6, 0.5, 0.3], [-0.3, 0.5, 0.3], [-0.3, -0.2, 2.6], [-0.3, 0.1, -1.4], [-0.3, 0.1, 0.6], [1.1, -0.9, -0.1], [0.3, -0.5, 0.0], [0.1, 0.8, -1.2], [-0.4, 1.0, -0.9], [-0.3, -1.6, 0.2], [-0.2, 0.3, -0.7], [1.4, -0.9, 0.7], [0.5, 0.4, -0.2], [-2.0, -0.6, -0.6], [1.0, 0.5, 0.3], [0.8, 0.2, 0.6], [-1.3, 0.1, -0.6], [0.3, 0.9, -1.8], [0.1, 0.1, -0.1], [0.2, -0.6, -0.7], [-0.3, -0.2, -0.6], [0.0, -0.3, -0.1], [0.2, -1.0, -0.5], [-1.1, -0.6, 0.7], [-0.3, 0.0, 0.2], [0.0, 0.4, 0.1], [-1.3, -0.3, 1.1], [0.0, 0.0, 0.0], [0.3, 0.1, -0.1], [-0.3, 0.8, -0.6], [-0.2, 0.0, 0.4], [0.6, -0.5, 0.5], [0.4, -0.8, -0.6], [-0.4, -0.2, 0.6], [0.4, 0.0, 0.7], [0.4, 0.8, -0.2], [-0.8, 0.6, -0.2], [-0.4, 0.3, -0.2], [-0.7, 0.2, -0.5], [0.0, 0.3, 0.3], [0.4, -0.1, 0.1], [0.2, -0.2, 0.6], [0.2, -0.1, 0.0], [-0.7, -0.5, -0.2], [0.4, -0.9, 0.3], [0.1, 0.1, 1.4], [0.3, 0.3, -0.1], [0.6, -0.6, -0.1], [0.8, -1.0, 0.7], [-1.6, 1.8, -2.0], [0.2, 0.1, 0.3], [-0.4, 0.2, -0.2], [1.1, 0.4, -0.2], [0.3, -0.2, 0.5], [-0.1, 0.1, 0.0], [-0.3, 0.2, 0.0], [-0.8, -0.2, 0.1], [0.1, -0.3, 0.3], [0.3, -0.5, 0.2], [-0.1, -0.4, 0.1], [-0.1, 0.2, 0.3]], "mulliken_charge": [0.753, -1.453, 1.710, -1.556, -0.119, -0.839, -0.677, 0.522, -0.123, -0.073, 0.187, -0.116, -1.466, 0.110, -0.025, 0.756, -1.443, -1.350, 0.305, -0.223, -1.143, 0.063, -0.001, 0.604, -1.275, -1.365, 0.391, 0.295, 0.393, -0.540, 0.436, 0.429, 0.314, 0.345, 0.370, -0.222, 0.507, 0.460, 0.209, 0.326, 0.350, 0.385, -0.027, 0.314, 0.595, 0.396, 0.373, 0.262, 0.177, 0.401, 0.384, 0.035, 0.314, 0.494, -0.240, -1.222, 0.968, -0.323, -0.455, -0.355, -0.339, -0.436, 0.206, 0.283, 0.420, 0.320, 0.418, 0.406, 0.413], "e_homo_ev": -8.090, "lumo_ha": -0.004, "total_energy_ev": -39268.2129, "e_above_lowest_kj_mol": 5.1, "gap_ev": 7.98}
____________
**Brief**
Next, copy the calculation results further above word for word.
**Here it is**
{"formula": "C24H35BN7ORb", "method": "ωB97M-V/def2-TZVPD", "species": ["Rb", "C", "C", "C", "C", "C", "C", "N", "N", "B", "N", "C", "C", "C", "N", "C", "C", "C", "N", "C", "C", "C", "N", "C", "C", "C", "H", "H", "H", "H", "H", "H", "H", "H", "H", "H", "H", "H", "H", "H", "H", "H", "H", "H", "H", "H", "H", "H", "H", "H", "H", "H", "H", "H", "O", "C", "C", "C", "C", "C", "C", "N", "H", "H", "H", "H", "H", "H", "H"], "coordinates": [[-0.2750, -0.0334, 0.7860], [-2.1294, -4.0181, -2.6003], [-1.3237, -3.4512, -1.4211], [-1.0755, -4.4531, -0.2690], [0.0277, -2.9131, -1.8533], [0.8060, -3.3603, -2.9618], [1.9559, -2.6079, -2.8394], [1.8429, -1.7611, -1.8113], [0.6665, -1.9695, -1.1878], [2.6681, -0.4829, -1.6944], [1.8415, 0.7203, -2.3024], [2.0381, 1.2261, -3.4901], [1.1007, 2.2004, -3.7273], [0.3453, 2.2872, -2.5271], [0.8173, 1.3836, -1.6674], [-0.8174, 3.1584, -2.1676], [-0.3922, 4.5219, -1.5873], [-1.8374, 2.4985, -1.2918], [3.2296, -0.2368, -0.2545], [4.5256, 0.0372, -0.1083], [4.8290, 0.1021, 1.2488], [3.5954, -0.0260, 1.8565], [2.6096, -0.2681, 0.9495], [3.2613, -0.0452, 3.3047], [3.1704, -1.4771, 3.8255], [2.0232, 0.7529, 3.7152], [-3.0370, -4.5193, -2.2520], [-1.4939, -4.7043, -3.1064], [-2.3566, -3.1485, -3.2017], [-1.8601, -2.5822, -0.9972], [-0.4962, -5.2843, -0.5931], [-1.9755, -4.7364, 0.1966], [-0.4087, -3.9544, 0.4408], [0.6262, -4.1993, -3.6275], [2.8524, -2.5205, -3.5261], [3.6165, -0.6037, -2.4235], [2.7333, 0.7677, -4.1650], [0.9745, 2.6478, -4.6732], [-1.2519, 3.3866, -3.1594], [0.0552, 4.4774, -0.6146], [-1.2385, 5.2432, -1.4194], [0.3203, 4.9930, -2.2994], [-1.5224, 2.5208, -0.2664], [-2.0764, 1.4294, -1.5219], [-2.7676, 3.0168, -1.2836], [5.2508, -0.0412, -0.9082], [5.8077, 0.1763, 1.7441], [4.1456, 0.3817, 3.7750], [2.3100, -1.9437, 3.3113], [2.9096, -1.4554, 4.8714], [4.0636, -2.0556, 3.6419], [1.1497, 0.2178, 3.4051], [1.9344, 1.7683, 3.2428], [1.9420, 0.8777, 4.7581], [-2.9634, -1.4060, 1.2340], [-3.8393, -0.7902, 2.1926], [-3.6874, 0.6964, 2.2677], [-4.4005, 1.5477, 1.5095], [-4.1501, 2.9248, 1.5200], [-3.1481, 3.3798, 2.3621], [-2.5339, 2.4304, 3.1694], [-2.7552, 1.1335, 3.1065], [-3.4187, -1.5580, 0.4011], [-3.5383, -1.2344, 3.1425], [-4.8433, -1.0594, 1.9420], [-5.1576, 1.2242, 0.7956], [-4.7203, 3.6260, 0.8981], [-2.8505, 4.4298, 2.3818], [-1.7038, 2.7148, 3.8046]], "forces_ev_per_angstrom": [[0.1, 0.0, -0.1], [0.2, 0.9, 1.4], [0.5, 0.2, 0.7], [1.0, 1.7, -0.5], [-0.1, -0.7, -1.0], [0.1, -0.1, 0.9], [1.3, 0.1, -1.9], [-0.2, -0.4, 0.0], [-0.6, 0.5, 0.3], [-0.3, 0.5, 0.3], [-0.3, -0.2, 2.6], [-0.3, 0.1, -1.4], [-0.3, 0.1, 0.6], [1.1, -0.9, -0.1], [0.3, -0.5, 0.0], [0.1, 0.8, -1.2], [-0.4, 1.0, -0.9], [-0.3, -1.6, 0.2], [-0.2, 0.3, -0.7], [1.4, -0.9, 0.7], [0.5, 0.4, -0.2], [-2.0, -0.6, -0.6], [1.0, 0.5, 0.3], [0.8, 0.2, 0.6], [-1.3, 0.1, -0.6], [0.3, 0.9, -1.8], [0.1, 0.1, -0.1], [0.2, -0.6, -0.7], [-0.3, -0.2, -0.6], [0.0, -0.3, -0.1], [0.2, -1.0, -0.5], [-1.1, -0.6, 0.7], [-0.3, 0.0, 0.2], [0.0, 0.4, 0.1], [-1.3, -0.3, 1.1], [0.0, 0.0, 0.0], [0.3, 0.1, -0.1], [-0.3, 0.8, -0.6], [-0.2, 0.0, 0.4], [0.6, -0.5, 0.5], [0.4, -0.8, -0.6], [-0.4, -0.2, 0.6], [0.4, 0.0, 0.7], [0.4, 0.8, -0.2], [-0.8, 0.6, -0.2], [-0.4, 0.3, -0.2], [-0.7, 0.2, -0.5], [0.0, 0.3, 0.3], [0.4, -0.1, 0.1], [0.2, -0.2, 0.6], [0.2, -0.1, 0.0], [-0.7, -0.5, -0.2], [0.4, -0.9, 0.3], [0.1, 0.1, 1.4], [0.3, 0.3, -0.1], [0.6, -0.6, -0.1], [0.8, -1.0, 0.7], [-1.6, 1.8, -2.0], [0.2, 0.1, 0.3], [-0.4, 0.2, -0.2], [1.1, 0.4, -0.2], [0.3, -0.2, 0.5], [-0.1, 0.1, 0.0], [-0.3, 0.2, 0.0], [-0.8, -0.2, 0.1], [0.1, -0.3, 0.3], [0.3, -0.5, 0.2], [-0.1, -0.4, 0.1], [-0.1, 0.2, 0.3]], "mulliken_charge": [0.753, -1.453, 1.710, -1.556, -0.119, -0.839, -0.677, 0.522, -0.123, -0.073, 0.187, -0.116, -1.466, 0.110, -0.025, 0.756, -1.443, -1.350, 0.305, -0.223, -1.143, 0.063, -0.001, 0.604, -1.275, -1.365, 0.391, 0.295, 0.393, -0.540, 0.436, 0.429, 0.314, 0.345, 0.370, -0.222, 0.507, 0.460, 0.209, 0.326, 0.350, 0.385, -0.027, 0.314, 0.595, 0.396, 0.373, 0.262, 0.177, 0.401, 0.384, 0.035, 0.314, 0.494, -0.240, -1.222, 0.968, -0.323, -0.455, -0.355, -0.339, -0.436, 0.206, 0.283, 0.420, 0.320, 0.418, 0.406, 0.413], "e_homo_ev": -8.090, "lumo_ha": -0.004, "total_energy_ev": -39268.2129, "e_above_lowest_kj_mol": 5.1, "gap_ev": 7.98}